
Episode 254: The Crutch of Paid Media: Why DMOs Are Stifling Their Growth

By Emily Christman on May 05, 2023

As the competition for travelers’ attention intensifies, Destination Marketing Organizations (DMOs) are increasingly turning to paid media as a way to reach their target audiences. However, relying solely on paid media for advertising can be a mistake. In the most recent episode of the Destination Marketing Podcast, I had a discussion with Stuart Butler about how many DMOs rely too much on paid media. In this post, we’ll explore why DMOs should diversify their advertising strategies and lessen their reliance on paid media.

## Someone pasted data records at this point
=====
No. 1
This entry pairs a crystal structure of Tb3Pa3IrN8 with its simulated XRD peak list. Radiation: Cu Ka. Structure: a cell relaxed with GGA-PBE.
Peak positions follow from Bragg's law for the DFT cell and can differ from measured ones.

Most intense lines, 10 to 90 degrees two-theta, in order of rising 2θ:
2theta	Rel. int.
15.71	20
31.73	35
32.17	100
37.19	94
53.32	33
53.89	32
63.39	17
63.91	30
64.17	15
67.30	16

Crystal structure
a b c (Å): 6.8731 6.8731 6.8731
angles (deg): 59.34 59.34 59.34
Positions (direct):
Tb1 0.0000 0.5000 0.5000
Tb2 0.5000 0.0000 0.5000
Tb3 0.5000 0.5000 0.0000
Pa1 0.0000 0.0000 0.5000
Pa2 0.0000 0.5000 0.0000
Pa3 0.5000 0.0000 0.0000
Ir1 0.5000 0.5000 0.5000
N1 0.2480 0.2480 0.2480
N2 0.2521 0.7335 0.7335
N3 0.2665 0.2665 0.7479
N4 0.2665 0.7479 0.2665
N5 0.7335 0.2521 0.7335
N6 0.7335 0.7335 0.2521
N7 0.7479 0.2665 0.2665
N8 0.7520 0.7520 0.7520

No. 2
This entry pairs a crystal structure of Ca4HgN with its simulated XRD peak list. Radiation: Cu Ka. Structure: a cell relaxed with GGA-PBE.
Peak positions follow from Bragg's law for the DFT cell and can differ from measured ones.

Most intense lines, 10 to 90 degrees two-theta, in order of rising 2θ:
2theta	Rel. int.
15.61	48
18.66	30
22.64	28
26.28	42
29.80	67
31.58	100
36.89	25
38.12	37
40.06	23
54.09	24

Crystal structure
a b c (Å): 9.8153 9.8153 7.0781
angles (deg): 90.00 90.00 151.26
Positions (direct):
Ca1 0.0000 0.0000 0.0000
Ca2 0.0000 0.0000 0.5000
Ca3 0.1762 0.8238 0.5065
Ca4 0.1762 0.8238 0.9935
Ca5 0.4148 0.5852 0.2500
Ca6 0.5852 0.4148 0.7500
Ca7 0.8238 0.1762 0.0065
Ca8 0.8238 0.1762 0.4935
Hg1 0.3989 0.6011 0.7500
Hg2 0.6011 0.3989 0.2500
N1 0.0924 0.9076 0.7500
N2 0.9076 0.0924 0.2500

No. 3
This entry pairs a crystal structure of TbNd2Dy2Y with its simulated XRD peak list. Radiation: Cu Ka. Structure: a cell relaxed with GGA-PBE.
Peak positions follow from Bragg's law for the DFT cell and can differ from measured ones.

Most intense lines, 10 to 90 degrees two-theta, in order of rising 2θ:
2theta	Rel. int.
27.97	21
30.14	100
30.34	15
30.72	49
32.24	36
33.05	18
36.72	36
49.65	25
61.76	19
62.76	25

Crystal structure
a b c (Å): 6.5667 6.8349 8.9482
angles (deg): 90.00 96.10 90.00
Positions (direct):
Tb1 0.0727 0.2500 0.4904
Tb2 0.9273 0.7500 0.5096
Nd1 0.3226 0.7500 0.8492
Nd2 0.4138 0.7500 0.4797
Nd3 0.5862 0.2500 0.5203
Nd4 0.6774 0.2500 0.1508
Dy1 0.1732 0.0016 0.1669
Dy2 0.1732 0.4984 0.1669
Dy3 0.8268 0.5016 0.8331
Dy4 0.8268 0.9984 0.8331
Y1 0.3156 0.2500 0.8432
Y2 0.6844 0.7500 0.1568

No. 4
This entry pairs a crystal structure of Ge7PbN10 with its simulated XRD peak list. Radiation: Cu Ka. Structure: a cell relaxed with GGA-PBE.
Peak positions follow from Bragg's law for the DFT cell and can differ from measured ones.

Most intense lines, 10 to 90 degrees two-theta, in order of rising 2θ:
2theta	Rel. int.
17.80	32
22.62	35
24.97	52
27.49	100
28.22	45
28.39	85
29.62	94
34.84	39
36.96	37
37.15	73

Crystal structure
=====
## The data records stop here

Paid media, such as online ads, billboards and TV commercials, can be an effective way to raise awareness of a destination and attract visitors. Paid media can reach a large audience quickly and generate immediate results. However, relying solely on paid media can have several drawbacks.

Overly Expensive

Paid media can be expensive, and DMOs may not have the budget to sustain a long-term advertising campaign. Paid media is also subject to the law of diminishing returns. Once a destination has been advertised heavily, it becomes more challenging to attract new visitors using the same messaging.

/*
For AcAl2Zn, DFT lattice parameters and positions (GGA-PBE) gives the theoretical powder diffraction line list in this record (λ = 1.5418 Å (Cu Kα)).
Lines closer than 0.1° are merged.

Peak list (10 most intense, 2θ = 5–70°, by angle)
| 2theta | I (rel.) |
| --- | --- |
| 20.24 | 63 |
| 20.44 | 34 |
| 24.04 | 65 |
| 32.02 | 35 |
| 32.64 | 94 |
| 33.15 | 100 |
| 38.18 | 33 |
| 41.55 | 38 |
| 50.65 | 31 |
| 52.13 | 29 |

Atomic structure:
Cell: 7.077 6.068 6.068 Å, 45.73 90.00 90.00°
Element x y z (fractional)
Ac: 0.000 0.000 0.000
Ac: 0.500 0.207 0.207
Al: 0.000 0.297 0.297
Al: 0.313 0.495 0.495
Al: 0.500 0.914 0.914
Al: 0.687 0.495 0.495
Zn: 0.184 0.721 0.721
Zn: 0.816 0.721 0.721
*/
**End of the data records:**

Lacking in heart

Paid ads can also have a problem with connection. These direct advertisements are impersonal and may not be the best way to build relationships with potential visitors. As discussed in a previous post, audiences want to feel a personal connection to a destination, and paid media may not be the best way to create that connection. DMOs can better connect with potential visitors by using other advertising strategies that emphasize the destination’s unique attributes, such as its culture, history and local cuisine.

Crystal structures from another source follow =
<<<
# NpPRuO
Calculated PXRD pattern, λ = 1.5418 Å (Cu Kα). Input: a cell relaxed with GGA-PBE.
Lines closer than 0.1° are merged.

Atomic structure:
a = 3.9788 Å, b = 3.9788 Å, c = 7.8166 Å
α = 90.00°, β = 90.00°, γ = 90.00°
Atoms (fractional coordinates):
Np 0.2500 0.2500 0.1512
Np 0.7500 0.7500 0.8488
P 0.2500 0.2500 0.6546
P 0.7500 0.7500 0.3454
Ru 0.2500 0.7500 0.5000
Ru 0.7500 0.2500 0.5000
O 0.2500 0.7500 0.0000
O 0.7500 0.2500 0.0000

Largest 6 diffraction maxima, in order of rising 2θ, 10 to 80 degrees two-theta:
| 2θ (°) | d_spacing | I_rel | (hkl) |
| --- | --- | --- | --- |
>>>


Third, relying solely on paid media can make it challenging to stand out from the competition. With so many destinations vying for travelers’ attention, it’s essential to find ways to stand out from the pack. Almost every DMO uses ads that show off its landscapes, attractions and food, with a standard “Visit ___” call to action. What can you do that’s new? 

Let’s take a look and some other ways DMOs can market themselves successfully :

  1. Branded content: Stuart and I both agree that DMOs of all sizes should be harnessing their branded content. Branded content involves creating and sharing informative, entertaining or engaging content that educates and inspires potential visitors. DMOs can use content marketing to showcase their destination’s unique attributes and provide travelers with helpful tips and recommendations.
  1. Social media: A strong social presence can be an effective way to engage with potential visitors and build a following. DMOs can use social media to share unique photos of the destination, answer questions and engage with potential visitors and promote events and attractions.
  1. Influencer marketing: Along the same lines as the above, influencer marketing involves partnering with social media influencers to promote a destination. Influencers have much higher engagement rates than your standard Google ad. DMOs can work with influencers with a following that reflects one of their specific target niches. This is a great way to connect with both your main audience and your tertiary audiences.
  1. Public relations: Known as earned media, public relations involves building relationships with journalists and media outlets to secure coverage for a destination. DMOs can use public relations to generate positive press coverage and build credibility.

While paid media can be a valuable advertising strategy for DMOs, it’s important not to rely solely on this tactic. DMOs need to diversify their marketing strategies to achieve long-term success. By incorporating content marketing, social media, influencer marketing, public relations, and community partnerships into their advertising mix, DMOs can build stronger relationships with potential visitors and differentiate themselves from the competition.